_Activity_
Please work out how many lines further below have the word "group" in them; a number is enough.
_Excerpt_
+++
HfMg6C (PBE, optimized geometry); mass density = 3.60 g/cm³; total moment = 0.001 μB/atom; energy relative to the lowest polymorph listed for this composition = 316 meV/atom; E_form = 0.543 eV/atom; DFT total energy = -0.22457 Ry per atom
1.0
4.728 0.000 0.000
0.000 5.431 0.000
0.000 0.000 12.069
Mg Hf C
12 2 2
Cartesian
0.000 4.064 6.982
0.000 4.082 0.948
0.000 2.715 9.599
2.364 1.343 11.437
2.364 4.058 5.402
2.364 1.373 5.402
0.000 2.715 4.138
0.000 0.000 3.564
0.000 0.000 10.172
0.000 1.349 0.948
2.364 4.088 11.437
0.000 1.367 6.982
2.364 0.000 8.298
2.364 2.715 2.264
2.364 0.000 1.470
2.364 2.715 7.504

***

Rb2ReF6 (PBE, optimized geometry); mass density = 4.87 g/cm³; E_form = -2.777 eV/atom; space group = P-3m1 (164); DFT total energy = -0.39296 Ry per atom; corrected total energy (MP2020 scheme) = -50.9 eV for the cell shown
1.0
6.148 0.000 0.000
-3.074 5.324 0.000
0.000 0.000 4.906
Rb Re F
2 1 6
Cartesian
0.000 3.550 1.464
3.074 1.775 3.443
0.000 0.000 0.000
0.000 1.679 3.831
-1.620 4.485 3.831
1.454 0.839 1.075
1.620 4.485 3.831
4.694 0.839 1.075
3.074 3.646 1.075

***

SnS16I4 (PBE, optimized geometry); mass density = 1.85 g/cm³; total moment = 0.000 μB/atom; energy relative to the lowest polymorph listed for this composition = 55 meV/atom; E_form = -0.490 eV/atom; space group = Fdd2 (43); DFT total energy = -0.26953 Ry per atom; corrected total energy (MP2020 scheme) = -173.1 eV for the cell shown
1.0
0.000 11.897 7.463
11.490 0.000 7.463
11.490 11.897 0.000
Sn S I
2 32 8
Cartesian
0.000 0.000 0.000
5.745 5.948 3.732
13.144 5.780 4.976
15.533 11.790 5.246
12.939 9.653 5.321
13.455 11.500 4.685
15.865 10.727 6.930
11.772 9.913 7.022
15.581 11.728 8.708
9.525 12.294 4.685
9.788 6.056 8.978
12.873 9.793 8.766
7.710 6.345 8.417
10.041 14.141 5.321
13.523 11.694 9.159
7.448 12.004 5.246
11.208 13.881 7.022
10.120 7.118 10.662
15.786 15.601 9.053
15.270 17.449 8.417
7.194 8.193 9.053
16.953 15.862 10.753
9.836 18.014 4.976
7.115 13.067 6.930
9.458 12.100 9.159
10.108 14.001 8.766
7.399 12.066 8.708
13.193 17.738 8.978
19.268 18.049 12.891
17.517 19.829 10.753
15.853 15.741 12.498
12.860 16.675 10.662
18.618 19.949 12.498
15.203 17.642 12.891
9.235 0.122 5.979
11.342 9.606 1.431
8.000 6.071 2.247
0.148 2.291 1.431
3.490 5.826 2.247
5.893 3.658 5.163
5.597 8.239 5.163
2.255 11.775 5.979

***

BiTeCl (PBE, optimized geometry); mass density = 5.45 g/cm³; E_form = -0.802 eV/atom; piezoelectric modulus e_max = 0.3 C/m2; space group = P6_3mc (186); DFT total energy = -0.26148 Ry per atom; corrected total energy (MP2020 scheme) = -22.6 eV for the cell shown
1.0
4.303 0.000 0.000
-2.151 3.727 0.000
0.000 0.000 14.142
Bi Te Cl
2 2 2
Cartesian
0.000 2.484 0.000
2.151 1.242 7.071
0.000 2.484 8.836
2.151 1.242 1.765
0.000 0.000 5.428
0.000 0.000 12.499
+++
_Worked solution_
3